**Wanted:**
Your job: restate the lines further below up to the one that holds "63.38 deg,", that line included.

**Material:**
____________
No. 1
This entry pairs a crystal structure of LiNp2Tl2S6 with its theoretical powder diffractogram. Radiation: Cu Kα, 1.54184 Å. Structure: a PBE-relaxed structure.

Largest 8 diffraction maxima, in order of falling intensity, 15° ≤ 2θ ≤ 90°:
- 30.39 deg, I 100.0
- 27.30 deg, I 80.6
- 17.14 deg, I 76.6
- 31.17 deg, I 59.0
- 23.78 deg, I 43.0
- 21.64 deg, I 42.3
- 41.85 deg, I 37.0
- 46.22 deg, I 32.7

Crystal structure
abc: 6.858 6.858 7.766
angles: 97.61 97.61 120.75
Element x y z (fractional)
Li (0.000, 0.000, 0.000)
Np (0.335, 0.665, 0.000)
Np (0.665, 0.335, 0.000)
Tl (0.158, 0.842, 0.500)
Tl (0.842, 0.158, 0.500)
S (0.056, 0.415, 0.194)
S (0.284, 0.284, 0.816)
S (0.415, 0.056, 0.194)
S (0.585, 0.944, 0.806)
S (0.716, 0.716, 0.184)
S (0.944, 0.585, 0.806)

No. 2
This entry pairs a crystal structure of Tm2ScHgN with its theoretical powder diffractogram. Radiation: Cu Kα, 1.54184 Å. Structure: a PBE-relaxed structure.

Largest 8 diffraction maxima, in order of falling intensity, 15° ≤ 2θ ≤ 90°:
- 33.52 deg, I 100.0
- 38.14 deg, I 38.7
- 66.00 deg, I 28.7
- 56.76 deg, I 24.3
- 40.39 deg, I 16.5
- 27.50 deg, I 14.7
- 55.04 deg, I 13.3
- 70.45 deg, I 12.7

Crystal structure
abc: 4.719 4.719 4.466
angles: 90.00 90.00 90.00
Element x y z (fractional)
Tm (0.000, 0.500, 0.000)
Tm (0.500, 0.000, 0.000)
Sc (0.000, 0.000, 0.500)
Hg (0.500, 0.500, 0.500)
N (0.000, 0.000, 0.000)

No. 3
This entry pairs a crystal structure of Tm4IrRh2 with its theoretical powder diffractogram. Radiation: Cu Kα, 1.54184 Å. Structure: a PBE-relaxed structure.

Largest 8 diffraction maxima, in order of falling intensity, 15° ≤ 2θ ≤ 90°:
- 33.42 deg, I 100.0
- 39.82 deg, I 68.8
- 33.62 deg, I 55.5
- 39.95 deg, I 21.9
- 50.58 deg, I 15.7
- 68.19 deg, I 15.5
- 55.24 deg, I 15.4
- 55.37 deg, I 14.1

Crystal structure
abc: 7.328 7.328 7.328
angles: 109.84 109.30 109.28
Element x y z (fractional)
Tm (0.001, 0.128, 0.002)
Tm (0.130, 0.997, 0.499)
Tm (0.370, 0.868, 0.867)
Tm (0.499, 0.501, 0.127)
Tm (0.502, 0.503, 0.633)
Tm (0.626, 0.999, 0.498)
Tm (0.874, 0.372, 0.373)
Tm (0.998, 0.632, 0.001)
Ir (0.250, 0.620, 0.370)
Ir (0.750, 0.880, 0.130)
Rh (0.116, 0.366, 0.750)
Rh (0.384, 0.134, 0.250)
Rh (0.626, 0.250, 0.876)
Rh (0.874, 0.750, 0.624)

No. 4
This entry pairs a crystal structure of Pm4Pr2NdDy with its theoretical powder diffractogram. Radiation: Cu Kα, 1.54184 Å. Structure: a PBE-relaxed structure.

Largest 8 diffraction maxima, in order of falling intensity, 15° ≤ 2θ ≤ 90°:
- 29.74 deg, I 100.0
- 40.26 deg, I 87.9
- 26.51 deg, I 68.3
- 29.60 deg, I 48.4
- 40.15 deg, I 42.3
- 63.38 deg, I 33.6
- 59.85 deg, I 24.0
- 52.60 deg, I 17.8

Crystal structure
abc: 9.654 9.654 6.960
angles: 110.93 110.93 88.30
Element x y z (fractional)
Pm (0.244, 0.755, 0.999)
Pm (0.245, 0.756, 0.501)
Pm (0.246, 0.246, 0.458)
Pm (0.246, 0.246, 0.958)
Pm (0.754, 0.754, 0.042)
Pm (0.754, 0.754, 0.542)
Pm (0.755, 0.244, 0.499)
Pm (0.756, 0.245, 0.001)
Pr (0.000, 0.500, 0.000)
Pr (0.500, 0.000, 0.500)
Pr (0.500, 0.500, 0.000)
Pr (0.500, 0.500, 0.500)
Nd (0.000, 0.500, 0.500)
Nd (0.500, 0.000, 0.000)
Dy (0.000, 0.000, 0.000)
Dy (0.000, 0.000, 0.500)

No. 5
This entry pairs a crystal structure of Ba8AgP3Br4 with its theoretical powder diffractogram. Radiation: Cu Kα, 1.54184 Å. Structure: a PBE-relaxed structure.

Largest 8 diffraction maxima, in order of falling intensity, 15° ≤ 2θ ≤ 90°:
- 26.36 deg, I 100.0
- 38.06 deg, I 38.4
- 37.17 deg, I 34.4
- 46.89 deg, I 19.8
- 61.91 deg, I 17.1
- 22.95 deg, I 14.3
- 60.67 deg, I 12.3
- 54.25 deg, I 11.0

Crystal structure
abc: 9.681 9.681 9.681
angles: 58.48 58.48 58.48
Element x y z (fractional)
Ba (0.227, 0.746, 0.746)
Ba (0.238, 0.238, 0.238)
Ba (0.254, 0.254, 0.773)
Ba (0.254, 0.773, 0.254)
Ba (0.746, 0.227, 0.746)
Ba (0.746, 0.746, 0.227)
Ba (0.762, 0.762, 0.762)
Ba (0.773, 0.254, 0.254)
Ag (0.500, 0.500, 0.500)
P (0.000, 0.000, 0.500)
P (0.000, 0.500, 0.000)
P (0.500, 0.000, 0.000)
Br (0.000, 0.000, 0.000)
Br (0.000, 0.500, 0.500)
____________

**Worked solution:**
No. 1
This entry pairs a crystal structure of LiNp2Tl2S6 with its theoretical powder diffractogram. Radiation: Cu Kα, 1.54184 Å. Structure: a PBE-relaxed structure.

Largest 8 diffraction maxima, in order of falling intensity, 15° ≤ 2θ ≤ 90°:
- 30.39 deg, I 100.0
- 27.30 deg, I 80.6
- 17.14 deg, I 76.6
- 31.17 deg, I 59.0
- 23.78 deg, I 43.0
- 21.64 deg, I 42.3
- 41.85 deg, I 37.0
- 46.22 deg, I 32.7

Crystal structure
abc: 6.858 6.858 7.766
angles: 97.61 97.61 120.75
Element x y z (fractional)
Li (0.000, 0.000, 0.000)
Np (0.335, 0.665, 0.000)
Np (0.665, 0.335, 0.000)
Tl (0.158, 0.842, 0.500)
Tl (0.842, 0.158, 0.500)
S (0.056, 0.415, 0.194)
S (0.284, 0.284, 0.816)
S (0.415, 0.056, 0.194)
S (0.585, 0.944, 0.806)
S (0.716, 0.716, 0.184)
S (0.944, 0.585, 0.806)

No. 2
This entry pairs a crystal structure of Tm2ScHgN with its theoretical powder diffractogram. Radiation: Cu Kα, 1.54184 Å. Structure: a PBE-relaxed structure.

Largest 8 diffraction maxima, in order of falling intensity, 15° ≤ 2θ ≤ 90°:
- 33.52 deg, I 100.0
- 38.14 deg, I 38.7
- 66.00 deg, I 28.7
- 56.76 deg, I 24.3
- 40.39 deg, I 16.5
- 27.50 deg, I 14.7
- 55.04 deg, I 13.3
- 70.45 deg, I 12.7

Crystal structure
abc: 4.719 4.719 4.466
angles: 90.00 90.00 90.00
Element x y z (fractional)
Tm (0.000, 0.500, 0.000)
Tm (0.500, 0.000, 0.000)
Sc (0.000, 0.000, 0.500)
Hg (0.500, 0.500, 0.500)
N (0.000, 0.000, 0.000)

No. 3
This entry pairs a crystal structure of Tm4IrRh2 with its theoretical powder diffractogram. Radiation: Cu Kα, 1.54184 Å. Structure: a PBE-relaxed structure.

Largest 8 diffraction maxima, in order of falling intensity, 15° ≤ 2θ ≤ 90°:
- 33.42 deg, I 100.0
- 39.82 deg, I 68.8
- 33.62 deg, I 55.5
- 39.95 deg, I 21.9
- 50.58 deg, I 15.7
- 68.19 deg, I 15.5
- 55.24 deg, I 15.4
- 55.37 deg, I 14.1

Crystal structure
abc: 7.328 7.328 7.328
angles: 109.84 109.30 109.28
Element x y z (fractional)
Tm (0.001, 0.128, 0.002)
Tm (0.130, 0.997, 0.499)
Tm (0.370, 0.868, 0.867)
Tm (0.499, 0.501, 0.127)
Tm (0.502, 0.503, 0.633)
Tm (0.626, 0.999, 0.498)
Tm (0.874, 0.372, 0.373)
Tm (0.998, 0.632, 0.001)
Ir (0.250, 0.620, 0.370)
Ir (0.750, 0.880, 0.130)
Rh (0.116, 0.366, 0.750)
Rh (0.384, 0.134, 0.250)
Rh (0.626, 0.250, 0.876)
Rh (0.874, 0.750, 0.624)

No. 4
This entry pairs a crystal structure of Pm4Pr2NdDy with its theoretical powder diffractogram. Radiation: Cu Kα, 1.54184 Å. Structure: a PBE-relaxed structure.

Largest 8 diffraction maxima, in order of falling intensity, 15° ≤ 2θ ≤ 90°:
- 29.74 deg, I 100.0
- 40.26 deg, I 87.9
- 26.51 deg, I 68.3
- 29.60 deg, I 48.4
- 40.15 deg, I 42.3
- 63.38 deg, I 33.6